The ruling mafia is rubbing salt into the wounds of the farmers growing a bumper crop by its refusal to buy the home-grown wheat from those who toiled hard in their fields against an unfriendly climate of no-support from the government
Scandals Galore Pakistan!
By Karamatullah K. Ghori
Toronto, Canada

It can’t be ‘the Land of the Pure’ if there isn’t a scandal or two stalking Pakistan’s landscape.
But before getting down to the nitty-gritty of the latest scandals making the headlines in the news media—and much more than mere headlines in Pakistan’s vibrant social media—let’s just focus on what could easily be the joke of the decades, if not the century.
Addressing the passing out parade at the Pakistan Air Force Academy at Risalpur last week, General Asim Munir asserted that the army knew its Constitutional limitations. He didn’t stop at that bragging but went on to hector that he and his army expected ‘others’ to know their limits, too!
It’s ironic, also risible in the extreme, for the head honcho of the institution that has been making a mockery of the law of the land—the Constitution—and brazenly and consistently violating it for the past seven decades. Asim Munir must be delusional to expect the world to believe his saintly piety and innocence in as far as the Pakistan Constitution is concerned. But the world isn’t a mute spectator like the Pakistani news media, browbeaten into silence by the general and his cohorts.
It’s precisely the military-implanted gang of bone-corrupt political actors—in place since the military-engineered and orchestrated downfall of Imran Khan (IK)—that’s at the heart of the latest ‘Wheat Scandal’ that has a basically agrarian Pakistan’s farmers up in arms.
Pakistan is a wheat-growing land. Wheat constitutes the lion’s share of Pakistani farming. The crop just harvested, in April, with the onset of spring has lived up to agricultural experts’ expectations. It’s a bumper crop.
However, corrupt politicians of the type patronized by the military junta of Pakistan are in politics to make money and loot the country’s resources to line their own pockets.
So, the ball on the wheat scandal was set rolling when the Shehbaz Sharif government—installed in power, courtesy of IK-baiting military ‘Establishment’—ignoring the experts’ advice toyed with the idea of importing wheat from abroad to avert a ‘presumed shortage’ in the country. But PDM-1, as Shehbaz government’s first foray into governance is known in Pakistan parlance—didn’t quite finish the process of hoodwinking the people of Pakistan and blatantly cheating the Pakistani farmers.
What was left undone by PDM-1 was quickly taken to the finish line by the caretakers succeeding it—again, of course, with the blessings of the omniscient ‘Establishment.’
Attached: data records =
1.
DFT (r²SCAN) results for a relaxed structure of CaHg3.

Structure (extended XYZ):
```
8
Lattice="6.709 0.000 0.000 -3.354 5.810 0.000 0.000 0.000 5.083" Properties=species:S:1:pos:R:3 pbc="T T T"
Ca 0.000 3.873 1.271
Ca 3.354 1.937 3.812
Hg 0.000 1.887 3.812
Hg -1.720 4.866 3.812
Hg 1.635 0.944 1.271
Hg 1.720 4.866 3.812
Hg 5.074 0.944 1.271
Hg 3.354 3.922 1.271
```



2.
DFT (r²SCAN) results for a relaxed structure of Ca2Hg.

Structure (extended XYZ):
```
12
Lattice="7.741 0.000 0.000 0.000 5.007 0.000 0.000 0.000 9.743" Properties=species:S:1:pos:R:3 pbc="T T T"
Ca 0.197 1.252 1.710
Ca 1.166 1.252 5.550
Ca 2.705 3.755 0.678
Ca 3.674 3.755 6.581
Ca 4.067 1.252 3.162
Ca 5.037 1.252 9.064
Ca 6.576 3.755 4.193
Ca 7.545 3.755 8.033
Hg 1.911 1.252 8.598
Hg 1.960 3.755 3.727
Hg 5.781 1.252 6.016
Hg 5.831 3.755 1.145
```



3.
DFT (r²SCAN) results for a relaxed structure of CaLaHg2.

Structure (extended XYZ):
```
4
Lattice="0.000 3.834 3.834 3.834 0.000 3.834 3.834 3.834 0.000" Properties=species:S:1:pos:R:3 pbc="T T T"
Ca 0.000 0.000 0.000
La 3.834 3.834 3.834
Hg 1.917 1.917 1.917
Hg 5.751 5.751 5.751
```



no.,formation energy from the elements (eV per atom)
1,-0.423
2,-0.443
3,-0.636

=====

Entry from the Materials Project database: crystalline LiSnP4O12 at its relaxed geometry (PBE-GGA).

a = 9.5579 Å, b = 9.5579 Å, c = 9.5176 Å
α = 90.00°, β = 90.00°, γ = 90.00°
Last column: nearest neighbours and their distance in Å.
Space group P4_2/nnm (No. 134, origin choice 2)
Symmetry-distinct sites (fractional):
Li  0.0000  0.0000  0.0000  4 O 2.15
Sn  0.2500  0.2500  0.0000  8 O 2.35-2.45
P  0.0270  0.7500  0.2500  4 O 1.50-1.64
P  0.0338  0.7500  0.7500  4 O 1.51-1.62
O  0.0428  0.1774  0.1324  1 P 1.51
O  0.0499  0.1863  0.6285  1 P 1.50
O  0.1340  0.6340  0.3166  2 P 1.64
O  0.1392  0.6392  0.8223  2 P 1.62

Formation energy = -2.46 eV/atom
Excess energy over the best structure of this formula in the dataset = 38.6 meV/atom
VASP energy = -6.836 eV per atom

***

Entry from the Materials Project database: crystalline Ti2Rh at its relaxed geometry (PBE-GGA).

a = 3.0721 Å, b = 3.0721 Å, c = 9.8608 Å
α = 90.00°, β = 90.00°, γ = 90.00°
Last column: nearest neighbours and their distance in Å.
Space group I4/mmm (No. 139)
Symmetry-distinct sites (fractional):
Ti  0.0000  0.0000  0.1618  4 Rh 2.70, 4 Ti 2.78
Rh  0.0000  0.0000  0.5000  8 Ti 2.70

Formation energy = -0.63 eV/atom
VASP energy = -8.344 eV per atom
The caretakers decided, on their own, that wheat needed to be imported from Ukraine, which country has loomed large in the drama staged to upend the IK government. It was IK’s neutrality in the Russian-Ukraine war that had angered the guardian power of Pakistani Bonapartes. They acted quickly to please their masters and orchestrated IK’s toppling from his pedestal of power.
So, promoting the pro-Ukraine agenda of their masters-in-uniform, the caretakers decided, in Cabinet, on October 15, 2023, to import 2.7 million tons of wheat from Ukraine, at a cost of 250 billion rupees.
But the whiff of scandal quickly leaked into the air when the ship laden with Ukrainian wheat landed at the Karachi port, on October 21—within a mere six days. Normally, a ship takes 3 to 4 weeks to cover the distance from Ukraine to Karachi. It didn’t take a genius to infer that the order for shipment was placed at least two weeks before the Cabinet formally started the charade.
PDM-2—the title of the Shehbaz government whose rise has been engineered, once again, by the Bonapartes who doctored the outcome of the February 8 Elections to rob the people of Pakistan’s vociferous mandate in favor of IK—added on to the misery of Pakistani farmers by authorizing a further shipment of 700,000 tons of Ukrainian wheat, with a price tag of 80 billion rupees.
So, in all, 3.3 million tons of Ukrainian wheat was imported at a cost of 330 billion rupees, which translated into 1.1 billion dollars, at a time when Pakistan was strapped of foreign exchange and was begging IMF for its last tranche of a 3 billion dollar package of loan. The mafia of mega-corrupt politicians lording over Pakistan and making a mockery of every democratic institution has inflicted a colossal loss of precious money on a Pakistan teetering on the verge of economic collapse.
It isn’t the vocal social media but the hamstrung mainstream media buzzing with comments from political pundits saying that someone in the ruling mafia made a cool 25 billion rupees, in kickbacks or commissions, on the Ukrainian wheat deal!
To add insult to injury, the wheat imported from Ukraine is unfit, according to agricultural experts, for human consumption. But that doesn’t bother the corrupt masters who have spawned this scandal. The welfare of the people of Pakistan is the least of their priorities. Of course, as well-known, categorically, to any pundit of Pakistani politics, the ruling elite of the country is into the game only for the purpose of making money.
The ruling mafia is not content only with adding insult to injury. It’s rubbing salt into the wounds of the farmers growing a bumper crop by its refusal to buy the home-grown wheat from those who toiled hard in their fields against an unfriendly climate of no-support from the government.
It’s a double-edged sword being used to harass the wheat farmers: not only the government is reluctant to buy their bumper crop but is also haggling over the price of the wheat. IK, on his watch, had been generous and munificent in mandating a purchase price that more than compensated the farmer. The mafia, complicit with the Bonapartes in his downfall, has no grain of sympathy for the toiling farmer.
Not to mention the hands-on Pakistani social media—which has been rightly critical of the ruling mafia’s foot-dragging in the scandal—but the military-harassed mainstream media of the country seems to be breaking its shackles by voicing its concern for the hard-pressed farmers. It’s the mainstream media that has blown the cover from the scandal, in the first place, and also disclosed the unsuitability of the imported wheat for consumption.
The farmers who came out on the streets of Lahore were beaten up, in a show of force, by the trigger-happy, baton-wielding Punjab Police. But the farmers have refused to be intimidated and their council has given a call for a country-wide farmers’ agitation, come May 10.
All bets are off as to how this unprecedented agitation of those thought to be at the backbone of Pakistan’s agriculture-dominated economy will play out.
But there’s another scandal in the making at the level of the apex court of Pakistan.
The incumbent Chief Justice, Faez Isa, is seen by most pundits as being overtly friendly to the ‘Establishment,’ with whom he shares an ambition to stay in power—and limelight—for as long as possible. The air in Pakistani chattering lobbies has been thick with gossip, and guesstimates, that Faez Isa has his heart set—as is the case with General Asim Munir—to somehow wangle an extension in his tenure from the power brokers.
However, in the course of presiding over a review of his own 2019 verdict in the infamous 2017 Faizabad Dharna or Sit-in—which had paralyzed the capital city of Islamabad for three long weeks under siege engineered by a raucous religious party—Faez Isa has unambiguously pointed the finger of blame on the military leadership. His turn-around must give sleepless nights to those-in-uniform presumed to be on the same page with him.
CJ Faez Isa, in the course of publicly-televised hearings and deliberations of the bench presided over by him, angrily lashed out at the Commission tasked with probing the bizarre drama staged for three weeks by the ultra-conservative and orthodox TLP (Tehreek Labbaik Pakistan) and accused it of whitewashing General Faiz Hameed’s involvement in the sit-in. Gen Faiz Hameed was, at that time, second-in-command of Pakistan’s shady intelligence outfit, the notorious ISI.
Faiz Hameed is suspected of playing a pivotal role in inducing and encouraging the aficionados of ultra-hawkish TLP to stage that raucous protest against the then-in-power government, led by Nawaz Sharif, who has since become a protégé of the establishment.
It’s too early to predict a black-and-white, categorical, outcome of the drama on this score being played out in the Supreme Court of Pakistan. But early straws in the air do hint at a dramatic change in the political ambiance of the country.
### Materials data that have nothing to do with the page
A | # MgBiF5 | the Materials Project database | PBE | relaxed
data_MgBiF5
_space_group_name_H-M_alt 'P 1'
_space_group_IT_number 1
_space_group_name_Hall 'P 1'
_cell_length_a 5.775
_cell_length_b 5.775
_cell_length_c 8.498
_cell_angle_alpha 67.94
_cell_angle_beta 67.94
_cell_angle_gamma 71.26
loop_
_atom_site_label
_atom_site_type_symbol
_atom_site_fract_x
_atom_site_fract_y
_atom_site_fract_z
Mg1 Mg 0.515 0.488 0.746
Mg2 Mg 0.488 0.515 0.246
Bi1 Bi 0.003 0.999 0.996
Bi2 Bi 0.999 0.003 0.496
F1 F 0.163 0.839 0.247
F2 F 0.839 0.163 0.747
F3 F 0.229 0.309 0.355
F4 F 0.698 0.769 0.141
F5 F 0.706 0.331 0.074
F6 F 0.661 0.312 0.432
F7 F 0.312 0.661 0.932
F8 F 0.331 0.706 0.574
F9 F 0.309 0.229 0.855
F10 F 0.769 0.698 0.641
# Magnetization = 0.00 μB/f.u.
# Space-group type = Cc (9)
# Calculated volume = 119 Å³/f.u.


B | # MgBiF5 | the Materials Project database | PBE | relaxed
data_MgBiF5
_space_group_name_H-M_alt 'P 1'
_space_group_IT_number 1
_space_group_name_Hall 'P 1'
_cell_length_a 10.462
_cell_length_b 5.390
_cell_length_c 8.424
_cell_angle_alpha 76.49
_cell_angle_beta 90.00
_cell_angle_gamma 90.00
loop_
_atom_site_label
_atom_site_type_symbol
_atom_site_fract_x
_atom_site_fract_y
_atom_site_fract_z
Mg1 Mg 0.011 0.518 0.802
Mg2 Mg 0.511 0.482 0.698
Mg3 Mg 0.989 0.482 0.198
Mg4 Mg 0.489 0.518 0.302
Bi1 Bi 0.767 0.096 0.606
Bi2 Bi 0.267 0.904 0.894
Bi3 Bi 0.233 0.904 0.394
Bi4 Bi 0.733 0.096 0.106
F1 F 0.904 0.394 0.643
F2 F 0.404 0.606 0.857
F3 F 0.096 0.606 0.357
F4 F 0.596 0.394 0.143
F5 F 0.597 0.365 0.503
F6 F 0.097 0.635 0.997
F7 F 0.403 0.635 0.497
F8 F 0.903 0.365 0.003
F9 F 0.413 0.160 0.752
F10 F 0.913 0.840 0.748
F11 F 0.587 0.840 0.248
F12 F 0.087 0.160 0.252
F13 F 0.135 0.242 0.823
F14 F 0.635 0.758 0.677
F15 F 0.865 0.758 0.177
F16 F 0.365 0.242 0.323
F17 F 0.669 0.218 0.818
F18 F 0.169 0.782 0.682
F19 F 0.331 0.782 0.182
F20 F 0.831 0.218 0.318
# Magnetization = 0.00 μB/f.u.
# Space-group type = P2_1/c (14)
# Calculated volume = 115 Å³/f.u.


Referenced to the most stable arrangement, the calculated values in meV per atom are A 26; B 0.


A | # Bi5O7F | the Materials Project database | PBE | relaxed
data_Bi5O7F
_space_group_name_H-M_alt 'P 1'
_space_group_IT_number 1
_space_group_name_Hall 'P 1'
_cell_length_a 12.525
_cell_length_b 6.922
_cell_length_c 13.495
_cell_angle_alpha 61.88
_cell_angle_beta 90.00
_cell_angle_gamma 90.00
loop_
_atom_site_label
_atom_site_type_symbol
_atom_site_fract_x
_atom_site_fract_y
_atom_site_fract_z
Bi1 Bi 0.249 0.991 0.430
Bi2 Bi 0.277 0.649 0.767
Bi3 Bi 0.235 0.328 0.081
Bi4 Bi 0.522 0.315 0.917
Bi5 Bi 0.490 0.624 0.608
Bi6 Bi 0.990 0.376 0.892
Bi7 Bi 0.022 0.685 0.583
Bi8 Bi 0.735 0.672 0.419
Bi9 Bi 0.777 0.351 0.733
Bi10 Bi 0.749 0.009 0.070
Bi11 Bi 0.251 0.991 0.930
Bi12 Bi 0.223 0.649 0.267
Bi13 Bi 0.265 0.328 0.581
Bi14 Bi 0.978 0.315 0.417
Bi15 Bi 0.010 0.624 0.108
Bi16 Bi 0.510 0.376 0.392
Bi17 Bi 0.478 0.685 0.083
Bi18 Bi 0.765 0.672 0.919
Bi19 Bi 0.723 0.351 0.233
Bi20 Bi 0.751 0.009 0.570
### The materials data stop here
Watching all this unfolding scenario from his cell in the Adiala Jail of Rawalpindi is Pakistan’s most prominent political prisoner, IK. He must derive comfort from any parting of ways between his principal tormentors—the power-addicted establishment and its complicit judiciary. Tea- leaves readers may have a lot to ponder over and cogitate. All is most certainly not well in the Kingdom of Denmark. A lot is obviously rotten and stinking. -
(The author is a former ambassador and career diplomat)